Here we present the advantages and disadvantages of theEURL, which, as its name suggests, limits the liability of the manager.
The EURL is a status that applies to anyone wishing to set up a business alone. He or she becomes what the law calls the " sole shareholder ", with all the powers of a shareholders' meeting.
Although there is a standard set of articles of association, the law leaves it up to the sole proprietor to draw up articles of association tailored to his or her own situation, when applying for registration with the RCS or CM.
EURL means single shareholder. And a single shareholder means low capital investment. Yet a company's share capital, coupled with its partners' investment capacity, is often what enables it to gain market share.
There is no example of a successful business that has not gone through the fund-raising stage to achieve success. The EURL is no exception. Fortunately, this type of status remains open to change.
In this way, the manager of an EURL can open up its share capital to others at any time, and bring in other partners or potential investors. In this way, the EURL is transformed into a SARL, which is exactly the same legal form, except that the manager loses his status as sole partner.
The great flexibility of the EURL makes it a particularly attractive legal status. Its advantages include
As soon as the company is created, the law makes it subject to simplified publicity formalities. While the obligation to register with the RCS or the CM is maintained, the sole shareholder is exempted from having to publish the company's creation in the Bulletin officiel des annonces civiles et commerciales (BODACC).
More precisely, it is the clerk of the commercial court with which the company is registered who transmits the company's creation announcement directly to the BODACC. Although this transmission and registration are free of charge, amendments to the articles of association are subject to a fee.
Thus, the sole shareholder of an EURL saves 143 euros for the transfer of the company's registered office, and 116 euros for any amending registration. The EURL manager also saves 25 euros on the cost of the notice required to file the company's annual financial statements.
This is probably the most important advantage of the EURL: the entrepreneur's liability is limited to the amount of his contributions. What does this mean in concrete terms? It means that your creditors won't be able to seize your personal assets to cover your debts.
In other words, a creditor can never ask for your house to be seized to pay off the company's debts. However, it is not uncommon for lenders to allow you to take out a loan only with the guarantee that part of your assets can be seized.
Consequently, it is up to the manager to weigh up the pros and cons when signing a loan agreement with a bank. Once the principal residence has been mortgaged, the notion of liability limited to the amount of contributions tends to disappear.
The law of August1, 2003 on economic initiative simplified business start-ups. For the EURL, it lowered the minimum share capital requirement from 7,500 euros to just 1 euro.
The possibility of opening a one-euro share capital makes it easier to set up a one-man limited liability company, which prior to the 2003 law meant that many people had to take out a loan or abandon this legal form altogether.
/*
Computed, not measured: 2 unconnected molecules or ions with the total composition C5H15N4O at a distorted geometry, with the ωB97M-V functional and the def2-TZVPD basis.

The geometry in XYZ format:
```
25
C5H15N4O, DFT the ωB97M-V functional and the def2-TZVPD basis
C -0.31614 -1.32572 2.02334
C -0.64509 0.09854 2.55056
C 0.79562 -1.35106 1.02018
O 0.52808 -1.65452 -0.15266
N 2.09644 -1.19831 1.34110
H 0.03874 -1.82443 2.93066
H -1.16051 -1.81517 1.55170
H -1.52605 0.05605 3.19096
H 2.78885 -1.77693 0.91677
H 2.33454 -1.06383 2.31515
H -0.79348 0.80109 1.73895
H 0.12704 0.35781 3.24233
C -2.13675 0.56117 -1.55088
C 0.25340 0.82590 -1.80190
N -0.75680 0.04632 -1.55873
N 0.12241 2.19185 -1.89552
N 1.49327 0.34434 -1.75372
H -0.53422 -0.82811 -1.08230
H 0.93922 2.76162 -1.73037
H -0.30346 2.59081 -2.72931
H 1.66065 -0.64382 -1.60315
H 2.30711 0.78049 -2.13814
H -2.30937 0.88591 -0.54073
H -2.83520 -0.14460 -1.98123
H -2.16830 1.32460 -2.30306
```

- Gap between HOMO and LUMO: 0.41545 Eh
- Calculated total energy: -493.5870 Ha
- Relative energy (zero: lowest compared OMol25 entry of this formula, charge and spin): 0.5226 eV
- HOMO energy: -13.86 eV
- Charge: +1
- Maximum force: 0.0366 Eh/bohr
- Spin multiplicity: 1

* * * * *

[1]
The following is a DFT calculation (the ωB97M-V functional and the def2-TZVPD basis) of C6H10O in the gas phase.

Structure (XYZ):
```
17
Properties=species:S:1:pos:R:3:forces:R:3:nbo_charge:R:1
C -1.447291 -0.760787 1.566630 0.0 0.0 0.0 -0.636
C -1.009225 0.312249 0.589760 -0.3 -0.2 0.0 0.115
O 0.189450 1.020232 0.994968 0.1 0.1 0.1 -0.539
C 0.557038 1.218911 -0.389079 0.1 0.2 -0.3 0.103
C 1.759472 0.420171 -0.886550 0.1 0.0 0.0 -0.416
C 0.878971 -0.849730 -0.816458 0.0 -0.2 0.0 -0.406
C -0.383212 0.066638 -0.784452 -0.2 -0.1 -0.1 -0.257
H -0.759681 -1.614189 1.597118 -0.1 0.2 0.0 0.210
H -1.508817 -0.320513 2.567928 0.1 -0.1 -0.1 0.225
H -2.458474 -1.113222 1.329413 0.2 0.0 -0.1 0.215
H -1.833887 1.039106 0.462813 0.2 -0.1 0.1 0.162
H 0.410576 2.259114 -0.691684 0.1 -0.1 0.0 0.177
H 2.730700 0.464917 -0.383080 -0.3 0.0 0.1 0.212
H 1.900889 0.695988 -1.939176 0.1 0.0 0.2 0.203
H 0.974677 -1.539901 -1.658996 -0.1 0.1 0.2 0.209
H 1.001519 -1.398918 0.120946 0.0 0.0 -0.2 0.212
H -1.002705 0.099935 -1.680100 0.0 -0.1 0.1 0.210
```
Positions in Å, forces in eV/Å.

Results
**Frontier orbital gap**: 10.7 eV
**ΔE to the lowest compared entry with this formula, charge and spin**: 34.1 kcal/mol
**Electronic energy**: -8429.7598 eV

=====

[2]
The following is a DFT calculation (the ωB97M-V functional and the def2-TZVPD basis) of C6H10O in the gas phase in a non-equilibrium geometry.

Structure (XYZ):
```
17
Properties=species:S:1:pos:R:3:forces:R:3:nbo_charge:R:1
O 1.865118 -1.324427 2.046360 1.6 0.4 -0.6 -0.489
C 2.465696 -0.829578 1.135362 -3.7 1.5 -3.5 0.432
C 1.622922 -0.211686 -0.292300 -0.6 -0.7 1.1 -0.549
C 0.392820 0.470458 0.238741 -0.5 0.0 0.1 -0.416
C -0.743908 0.607509 -0.740546 0.0 0.1 -0.1 -0.223
*/
However, there are two limits to low share capital. The first is bank loans. Bank loans are only granted on the basis of the amount of capital contributed. The loan granted is generally three times the amount of the share capital.
The second limitation relates to the entry of outside investors into the company's share capital. To retain a majority shareholding in the company, the sole manager will be obliged to contribute a larger sum of money to his company, in order to maintain his majority shareholding and thus decision-making power.
Bringing one or more investors into the company's capital is made easier by the fact that the EURL can very easily be converted into a SARL (limited liability company). The legal form is in fact strictly identical, the only difference being in the number of partners and certain publicity formalities.
It is the deed of transfer of shares that will switch the EURL to SARL status. However, this change will have a number of consequences:
The sole manager of an EURL is free to choose between corporate or income taxation. Choosing income taxation guarantees simplicity of operation, since no payslip needs to be issued by the manager.
However, the choice of income tax can be more onerous when the marginal tax rate exceeds the 30% mark, which corresponds to the corporate tax rate. With a maximum tax rate of 41%, it is not uncommon for income taxation to be less advantageous than corporate taxation.
Like all legal forms, the EURL has its drawbacks:
EURL managers are not covered by the general social security scheme, but by the Sécurité Sociale des Indépendants (SSI), which has replaced the Régime Social des Indépendants (RSI).
Although the SSI is now managed by the general social security scheme, the EURL manager is still subject to the same social security contribution rates, i.e. from 0% (income under 45,250 euros) to 3.10% (income over 57,590 euros).
However, social security cover for the SASU manager remains with the CPAM, which pays benefits in the event of illness or maternity.
The EURL is a one-person company. In this sense, it is reminiscent of a sole proprietorship. However, it's a long way from it. The EURL has strict accounting obligations.
By law, the company is required to keep "regular and accurate" accounts, including the chronological recording of all financial transactions, the preparation of invoices, and the retention of all accounting documents and supporting evidence for a period of ten years.
Although the EURL is, by definition, a small company, it does not qualify for the advantages of the micro-business tax regime. As a result, the sole shareholder of the EURL will not benefit from any flat-rate deduction on the company's sales, which nevertheless range from 50% to 71% depending on the type of activity (self-employed, commercial or purchase-resale).
So, before opting for the EURL, you need to weigh up the pros and cons between opting for a status that can lead to the development of your business, or a more tax-efficient status such as that of a micro-enterprise, which blocks any possibility of expansion.
Here are the steps to follow:
(These calculated molecules were left in the article by mistake)
____________
{
  "formula": "C26H41Cl3N3NiO5PS",
  "method": "wB97M-V/def2-TZVPD",
  "symbols": ["Ni", "O", "N", "C", "C", "C", "C", "C", "S", "H", "H", "H", "H", "Cl", "C", "Cl", "Cl", "C", "O", "O", "N", "C", "N", "O", "H", "H", "H", "H", "O", "P", "C", "C", "C", "C", "C", "C", "C", "C", "C", "C", "C", "C", "C", "C", "C", "C", "C", "C", "H", "H", "H", "H", "H", "H", "H", "H", "H", "H", "H", "H", "H", "H", "H", "H", "H", "H", "H", "H", "H", "H", "H", "H", "H", "H", "H", "H", "H", "H", "H", "H", "H"],
____________
Complete the M0 form (company formation form)
Gather the supporting documents needed for the creation file
Register the company with the tax authorities using the original copies, one of which will be retained.
Reading time: 6 min
Setting up a company
Reading time: 15 min